### Data
┌──
Below is AlIn3Cu after structural relaxation, with properties calculated at the PBE level.

Calculated values
For the formation energy, the calculation gives 316 meV per atom. The value obtained for the distance to the lowest polymorph of the same formula is 0.000 eV per formula unit. As for the space group: No. 221.

Cell: 5.078 5.078 5.078 Å, 90.00 90.00 90.00°
Positions (direct):
Al  0.500  0.500  0.500
Cu  0.000  0.000  0.000
In  0.000  0.500  0.000
In  0.000  0.000  0.500
In  0.500  0.000  0.000

=====

Below is AlInCu2 after structural relaxation, with properties calculated at the PBE level.

Calculated values
For the formation energy, the calculation gives 38 meV per atom. As for the space group: No. 8.

Cell: 4.696 4.696 4.551 Å, 78.58 78.58 40.95°
Positions (direct):
Al  0.262  0.262  0.191
Cu  0.000  0.000  0.014
Cu  0.743  0.743  0.771
In  0.496  0.496  0.523

=====

Below is Al2InCu after structural relaxation, with properties calculated at the PBE level.

Calculated values
For the formation energy, the calculation gives 127 meV per atom. As for the space group: No. 119.

Cell: 5.046 5.046 5.046 Å, 131.89 131.89 70.40°
Positions (direct):
Al  0.000  0.000  0.000
Al  0.250  0.750  0.500
Cu  0.500  0.500  0.000
In  0.750  0.250  0.500

=====

Below is AlIn2Cu after structural relaxation, with properties calculated at the PBE level.

Calculated values
For the formation energy, the calculation gives 95 meV per atom. As for the space group: No. 160.

Cell: 9.184 9.184 9.184 Å, 20.24 20.24 20.24°
Positions (direct):
Al  0.487  0.487  0.487
Cu  0.757  0.757  0.757
In  0.012  0.012  0.012
In  0.244  0.244  0.244

=====

Below is AlIn2Cu after structural relaxation, with properties calculated at the PBE level.

Calculated values
For the formation energy, the calculation gives 78 meV per atom. As for the space group: No. 6.

Cell: 4.150 3.898 5.404 Å, 69.70 90.00 90.00°
Positions (direct):
Al  0.000  0.690  0.490
Cu  0.500  0.556  0.766
In  0.000  0.979  0.925
In  0.500  0.275  0.319

=====

Below is Al2InCu after structural relaxation, with properties calculated at the PBE level.

Calculated values
For the formation energy, the calculation gives 74 meV per atom. As for the space group: No. 6.

Cell: 3.906 2.883 6.754 Å, 70.66 90.00 90.00°
Positions (direct):
Al  0.000  0.935  0.037
Al  0.500  0.244  0.281
Cu  0.000  0.629  0.438
In  0.500  0.692  0.744

=====

Below is AlInCu2 after structural relaxation, with properties calculated at the PBE level.

Calculated values
For the formation energy, the calculation gives 135 meV per atom. As for the space group: No. 160.

Cell: 8.625 8.625 8.625 Å, 19.97 19.97 19.97°
Positions (direct):
Al  0.738  0.738  0.738
Cu  0.998  0.998  0.998
Cu  0.258  0.258  0.258
In  0.505  0.505  0.505

=====

Below is AlInCu2 after structural relaxation, with properties calculated at the PBE level.

Calculated values
For the formation energy, the calculation gives 60 meV per atom. As for the space group: No. 123.

Cell: 3.760 4.081 4.081 Å, 90.00 90.00 90.00°
Positions (direct):
Al  0.500  0.000  0.500
Cu  0.000  0.000  0.000
Cu  0.000  0.500  0.500
In  0.500  0.500  0.000

=====

Below is Al2InCu after structural relaxation, with properties calculated at the PBE level.

Calculated values
For the formation energy, the calculation gives 213 meV per atom. As for the space group: No. 47.

Cell: 3.287 4.482 4.913 Å, 90.00 90.00 90.00°
Positions (direct):
Al  0.000  0.000  0.000
Al  0.500  0.500  0.000
└──

### Job
Could you return every line further up that contains the word "values"?

### Solution
Calculated values
Calculated values
Calculated values
Calculated values
Calculated values
Calculated values
Calculated values
Calculated values
Calculated values